**Exercise:**
Set down every line below that contains the word "PBE", please.
**Given:**
........
# 1
Entry from the Open Quantum Materials Database: crystalline KNpCd at its relaxed geometry (PBE).

Cell: 5.450 5.450 5.450 Å, 60.00 60.00 60.00°
Site moments in Bohr magnetons follow the coordinates.
Sites, in units of the cell vectors:
Cd (0.000, 0.000, 0.000)  0.08
K (0.250, 0.250, 0.250)  0.03
Np (0.750, 0.750, 0.750)  4.61

Properties
Excess energy over the best structure of this formula in the dataset   0 meV/atom
Crystal system   cubic



# 2
Entry from the Open Quantum Materials Database: crystalline KNpCdS3 at its relaxed geometry (PBE).

Cell: 7.410 7.410 10.820 Å, 90.00 90.00 147.30°
Site moments in Bohr magnetons follow the coordinates.
Sites, in units of the cell vectors:
Cd (0.536, 0.464, 0.250)  0.01
Cd (0.464, 0.536, 0.750)  0.01
K (0.256, 0.744, 0.250)  0.00
K (0.744, 0.256, 0.750)  0.00
Np (0.000, 0.000, 0.000)  3.92
Np (0.000, 0.000, 0.500)  3.92
S (0.626, 0.374, 0.052)  -0.06
S (0.930, 0.070, 0.250)  -0.03
S (0.626, 0.374, 0.448)  -0.06
S (0.374, 0.626, 0.552)  -0.06
S (0.070, 0.930, 0.750)  -0.03
S (0.374, 0.626, 0.948)  -0.06

Properties
Total energy   -5.620 eV/atom
Crystal system   orthorhombic

=====

1.
BeOsPd3 | PBEsol | relaxed

a = 4.0998 Å, b = 4.0998 Å, c = 4.0998 Å
α = 90.00°, β = 90.00°, γ = 90.00°
Atoms (fractional coordinates):
Be: 0.0000 0.0000 0.0000
Os: 0.5000 0.5000 0.5000
Pd: 0.0000 0.0000 0.5000
Pd: 0.0000 0.5000 0.0000
Pd: 0.5000 0.0000 0.0000

Results
- ΔE_f: 602.9 meV/atom
- Energy: -6.216 eV per atom

2.
Ta3MnPt | PBEsol | relaxed

a = 4.8249 Å, b = 4.8249 Å, c = 4.8249 Å
α = 90.00°, β = 90.00°, γ = 90.00°
Atoms (fractional coordinates):
Ta: 0.0000 0.0000 0.5000
Ta: 0.0000 0.5000 0.0000
Ta: 0.5000 0.0000 0.0000
Mn: 0.5000 0.5000 0.5000
Pt: 0.0000 0.0000 0.0000

Results
- ΔE_f: 1501.9 meV/atom
- Energy: -9.374 eV per atom

3.
CuIrOs | PBEsol | relaxed

a = 4.1853 Å, b = 4.1853 Å, c = 2.6339 Å
α = 90.00°, β = 90.00°, γ = 120.00°
Atoms (fractional coordinates):
Cu: 0.0000 0.0000 0.0000
Ir: 0.3333 0.6667 0.0142
Os: 0.6667 0.3333 0.5144

Results
- ΔE_f: 347.3 meV/atom
- Energy: -8.444 eV per atom
- Distance to the lowest polymorph of the same formula: 0.167 eV/atom

4.
YTcNi | PBEsol | relaxed

a = 4.2851 Å, b = 4.2851 Å, c = 4.2851 Å
α = 60.00°, β = 60.00°, γ = 60.00°
Atoms (fractional coordinates):
Y: 0.0000 0.0000 0.0000
Tc: 0.7500 0.7500 0.7500
Ni: 0.5000 0.5000 0.5000

Results
- ΔE_f: 712.2 meV/atom
- Energy: -7.370 eV per atom
........
**Reply:**
Entry from the Open Quantum Materials Database: crystalline KNpCd at its relaxed geometry (PBE).
Entry from the Open Quantum Materials Database: crystalline KNpCdS3 at its relaxed geometry (PBE).